_Excerpt_
{"formula": "C9H8NO5", "method": "wB97M-V/def2-TZVPD", "species": ["C", "C", "C", "C", "C", "C", "C", "C", "C", "N", "O", "O", "O", "O", "O", "H", "H", "H", "H", "H", "H", "H", "H"], "coordinates": [[3.10473, 1.12320, 0.68286], [1.91593, 1.16644, 1.33530], [3.09462, 0.57339, -0.58795], [0.77255, 0.51592, 0.76632], [1.98618, -0.14912, -1.08730], [0.73912, 0.03574, -0.45402], [-1.20490, -1.26414, 1.78902], [-2.54317, -1.34035, -1.25525], [-1.59290, -0.33335, -0.61414], [-2.16201, 0.85427, -0.26369], [-1.98888, -0.76516, 2.45046], [-0.35158, -1.88755, 1.34465], [-3.45494, 0.84258, -0.09035], [-1.46839, 1.92008, -0.13426], [-0.28265, -0.37108, -1.14231], [4.02363, 1.43827, 1.08197], [1.77068, 1.64093, 2.27681], [4.05183, 0.36215, -1.01096], [-0.06708, 0.85923, 1.22879], [2.15126, -0.43609, -2.15005], [-2.21567, -1.74388, -2.24537], [-3.52415, -0.75154, -1.30303], [-2.75423, -2.28991, -0.61749]], "lowdin_charge": [-0.14, -0.05, -0.11, -0.06, 0.02, -0.36, -0.51, -0.04, -0.31, -0.37, 0.22, 0.19, -0.13, -0.07, 0.06, 0.07, 0.09, 0.08, 0.07, 0.12, 0.07, 0.08, 0.09], "e_above_lowest_kcal_mol": 41.82, "total_energy_ev": -21187.52611, "largest_force_ha_per_bohr": 0.1013, "total_charge": -1}



{"formula": "H5N3OS", "method": "wB97M-V/def2-TZVPD", "species": ["N", "N", "N", "O", "S", "H", "H", "H", "H", "H"], "coordinates": [[-0.48678, -1.40910, -0.88711], [-0.09924, -0.32446, 1.47000], [-0.43183, 1.13848, -0.61989], [2.03998, -0.01552, -0.18850], [0.26179, -0.24059, -0.17390], [-0.00364, -2.23928, -1.08187], [-0.88538, 0.25825, 1.71079], [0.74828, 0.02500, 1.90965], [0.21331, 1.76062, -1.04330], [-1.35648, 1.04660, -1.09588]], "lowdin_charge": [-0.23, -0.13, -0.14, -0.49, 0.74, -0.02, 0.05, 0.05, 0.06, 0.10], "smiles": "N=S(N)(N)=O", "e_above_lowest_kcal_mol": 37.52, "total_energy_ev": -17430.56148, "largest_force_ha_per_bohr": 0.1404}
_Activity_
What is needed: type out the listing further above with every line break kept.
_Done_
{"formula": "C9H8NO5", "method": "wB97M-V/def2-TZVPD", "species": ["C", "C", "C", "C", "C", "C", "C", "C", "C", "N", "O", "O", "O", "O", "O", "H", "H", "H", "H", "H", "H", "H", "H"], "coordinates": [[3.10473, 1.12320, 0.68286], [1.91593, 1.16644, 1.33530], [3.09462, 0.57339, -0.58795], [0.77255, 0.51592, 0.76632], [1.98618, -0.14912, -1.08730], [0.73912, 0.03574, -0.45402], [-1.20490, -1.26414, 1.78902], [-2.54317, -1.34035, -1.25525], [-1.59290, -0.33335, -0.61414], [-2.16201, 0.85427, -0.26369], [-1.98888, -0.76516, 2.45046], [-0.35158, -1.88755, 1.34465], [-3.45494, 0.84258, -0.09035], [-1.46839, 1.92008, -0.13426], [-0.28265, -0.37108, -1.14231], [4.02363, 1.43827, 1.08197], [1.77068, 1.64093, 2.27681], [4.05183, 0.36215, -1.01096], [-0.06708, 0.85923, 1.22879], [2.15126, -0.43609, -2.15005], [-2.21567, -1.74388, -2.24537], [-3.52415, -0.75154, -1.30303], [-2.75423, -2.28991, -0.61749]], "lowdin_charge": [-0.14, -0.05, -0.11, -0.06, 0.02, -0.36, -0.51, -0.04, -0.31, -0.37, 0.22, 0.19, -0.13, -0.07, 0.06, 0.07, 0.09, 0.08, 0.07, 0.12, 0.07, 0.08, 0.09], "e_above_lowest_kcal_mol": 41.82, "total_energy_ev": -21187.52611, "largest_force_ha_per_bohr": 0.1013, "total_charge": -1}



{"formula": "H5N3OS", "method": "wB97M-V/def2-TZVPD", "species": ["N", "N", "N", "O", "S", "H", "H", "H", "H", "H"], "coordinates": [[-0.48678, -1.40910, -0.88711], [-0.09924, -0.32446, 1.47000], [-0.43183, 1.13848, -0.61989], [2.03998, -0.01552, -0.18850], [0.26179, -0.24059, -0.17390], [-0.00364, -2.23928, -1.08187], [-0.88538, 0.25825, 1.71079], [0.74828, 0.02500, 1.90965], [0.21331, 1.76062, -1.04330], [-1.35648, 1.04660, -1.09588]], "lowdin_charge": [-0.23, -0.13, -0.14, -0.49, 0.74, -0.02, 0.05, 0.05, 0.06, 0.10], "smiles": "N=S(N)(N)=O", "e_above_lowest_kcal_mol": 37.52, "total_energy_ev": -17430.56148, "largest_force_ha_per_bohr": 0.1404}